Why should you rethink about your menu when you can easily use the one you already have? Don’t touch your classic menu, MenuQr don't edit, transform it in a digital one and you won’t have to spend more resources and time in cleaning menus. Innovation doesn’t mean upheaval, but adaptation and integration, for a better result.
DETAILSYou can update your menu in a fast and easy way from your private area whenever and wherever you want, without constraints. Doing that you will save resources and time spent for cleaning or in printing disposable menus.
DETAILSWe conceive a new method for directly print a “stand” on a paper sheet that you can customize with your logo and put it on tables: with a few folds you can immediately use MenuQr inside your local.
DETAILSOur free service helps you to save time and money otherwise spent in sanitizing classic menus.
A technological leap that with other operators would entail additional costs for your business. MenuQr wants to give you real support, at no cost.
Un esempio di risparmio:
Risparmio Materiale per igenizzare | |
Risparmio su costi menù usa e getta | |
Riprogettazione sito web non necessaria | |
Riprogettazione menù non necessaria | |
Rispamio Tempo prezioso |
Spesso vi è la necessità di aggiornare il menù e a prima vista potrebbe sembrare complicato e svantaggioso: non è così. Con MenuQr potrai modificare il tuo menù tutte le volte che vorrai, semplicemente ricaricando un nuovo file PDF. Ci vorrà davvero pochissimo tempo e non dovrai generare un nuovo QR code. Le tue stampe sono al sicuro.
# Someone pasted materials data at this point
/*
Structure and theoretical XRD peak list of Ba4Y2Cu5O14 (a DFT-relaxed cell (PBE, Alexandria); CuKα).
Neutral-atom scattering factors, no anomalous dispersion.

Cell and atoms:
a b c (Å): 5.470 5.470 12.600
angles (deg): 102.15 102.15 89.79
Fractional coordinates of all 25 atoms:
Ba 0.250 0.750 0.000
Ba 0.458 0.958 0.389
Ba 0.750 0.250 0.000
Ba 0.958 0.458 0.389
Y 0.095 0.595 0.680
Y 0.595 0.095 0.680
Cu 0.041 0.041 0.568
Cu 0.169 0.169 0.833
Cu 0.344 0.344 0.184
Cu 0.670 0.670 0.834
Cu 0.845 0.845 0.186
O 0.058 0.558 0.184
O 0.267 0.267 0.029
O 0.280 0.280 0.572
O 0.281 0.805 0.572
O 0.409 0.907 0.811
O 0.411 0.411 0.814
O 0.436 0.436 0.334
O 0.558 0.058 0.184
O 0.769 0.769 0.031
O 0.805 0.281 0.572
O 0.806 0.806 0.572
O 0.907 0.409 0.811
O 0.909 0.909 0.814
O 0.937 0.937 0.338

Top 10 peaks for 2θ from 10° to 90°, low angle first:
d [Å]	2θ/deg	I_rel
3.866	23.0	230
3.246	27.5	239
2.802	31.9	449
2.781	32.2	822
2.771	32.3	500
2.735	32.7	1000
2.406	37.4	205
1.937	46.9	301
1.930	47.1	310
1.584	58.2	351

Structure and theoretical XRD peak list of Ba6YCu3O11 (a DFT-relaxed cell (PBE, Alexandria); CuKα).
Neutral-atom scattering factors, no anomalous dispersion.

Cell and atoms:
a b c (Å): 11.463 11.463 8.171
angles (deg): 100.26 100.26 20.43
Fractional coordinates of all 21 atoms:
Ba 0.000 0.000 0.000
Ba 0.000 0.000 0.494
Ba 0.179 0.179 0.086
Ba 0.179 0.179 0.586
Ba 0.807 0.807 0.399
Ba 0.807 0.807 0.901
Y 0.400 0.400 0.696
Cu 0.388 0.388 0.191
Cu 0.598 0.598 0.296
Cu 0.598 0.598 0.796
O 0.298 0.298 0.146
O 0.298 0.298 0.646
O 0.397 0.397 0.418
O 0.397 0.397 0.973
O 0.515 0.515 0.254
O 0.515 0.515 0.754
O 0.596 0.596 0.046
O 0.596 0.596 0.544
O 0.684 0.684 0.840
O 0.685 0.685 0.338
O 0.921 0.921 0.708

Top 10 peaks for 2θ from 10° to 90°, low angle first:
d [Å]	2θ/deg	I_rel
3.001	29.8	1000
2.882	31.0	624
2.273	39.6	156
2.219	40.7	122
2.043	44.3	147
2.033	44.6	146
1.758	52.0	178
1.688	54.3	200
1.684	54.5	166
1.441	64.7	89

Structure and theoretical XRD peak list of Ba2YCu4O6 (a DFT-relaxed cell (PBE, Alexandria); CuKα).
Neutral-atom scattering factors, no anomalous dispersion.

Cell and atoms:
a b c (Å): 13.838 13.838 3.914
angles (deg): 90.00 90.00 164.22
Fractional coordinates of all 13 atoms:
Ba 0.144 0.856 0.000
Ba 0.856 0.144 0.000
Y 0.000 0.000 0.000
Cu 0.290 0.710 0.500
Cu 0.439 0.561 0.500
Cu 0.561 0.439 0.500
Cu 0.710 0.290 0.500
O 0.219 0.781 0.500
O 0.361 0.639 0.500
O 0.449 0.551 0.000
O 0.551 0.449 0.000
O 0.639 0.361 0.500
O 0.781 0.219 0.500

Top 10 peaks for 2θ from 10° to 90°, low angle first:
d [Å]	2θ/deg	I_rel
3.399	26.2	228
2.972	30.1	467
2.727	32.8	1000
2.713	33.0	968
2.612	34.3	255
2.578	34.8	401
1.957	46.4	518
1.900	47.9	270
1.590	58.0	383
1.363	68.9	294

Structure and theoretical XRD peak list of Ba2YbCu3O7 (a DFT-relaxed cell (PBE, Alexandria); CuKα).
Neutral-atom scattering factors, no anomalous dispersion.

Cell and atoms:
a b c (Å): 3.840 3.903 11.879
angles (deg): 90.00 90.00 90.00
Fractional coordinates of all 13 atoms:
*/
Una volta creato il tuo locale, il sistema genererà per te un identificativo univoco e ne associerà il QR code. Devi aggiornare il menù? Nessun problema, il QR rimarrà identico e mostrerà l'ultimo menù aggiornato.
Modifica intuitiva del menù | |
Il QR code non cambia | |
Aggiornamenti illimitati | |
QR code illimitati |
StandQr è stato ideato per semplificare l'impiego del nostro servizio. Non è necessario acquistare nessun tipo di supporto, bastano un paio di forbici e qualche piega. StandQr si può stampare su tutti i tipi di carta (2 per foglio a4, noi consigliamo il cartoncino sottile) oppure plastificare e piegarlo successivamente. A voi la scelta di utilizzo.
Il cliente finale non dovrà far altro che inquadrare il codice QR, e in un attimo avrà a portata di dispositivo il vostro menù. In questo modo garantirai la serenità del cliente in primis, e allevierai il lavoro del tuo staff, il quale a fine servizio non dovrà sprecare energia e tempo per igienizzare le carte menù.
StandQr Go | |
StandQr Personal | |
Linee di taglio e piega | |
Design bello, semplice e intuitivo |
You need a few information for easily create your account
with your personal account you can add a limitless number of activities
Use the login form for log into the platform safely and with all your devices
Created for being easy-to-use and intuitive
NO application download needed
You can have access from all devices
We have reduced all the activity for using MenuQr in a few passages, that means few seconds for receiving your personal QR code.
Enter the name of your own place for the identification.
____________
Entry 1:
# SmH2
Simulated powder diffractogram, Cu Kα X-rays. Input: DFT lattice parameters and positions (GGA-PBE).
Peak positions follow from Bragg's law for the DFT cell and can differ from measured ones.

a b c (Å): 3.811 3.811 3.811
angles (deg): 60.00 60.00 60.00
Atoms (fractional coordinates):
Sm  0.000  0.000  0.000
H  0.250  0.250  0.250
H  0.750  0.750  0.750

Top 8 peaks for 2θ from 10° to 80°, in order of rising 2θ:
two_theta  I_rel
28.7  100
33.2  49
47.7  38
56.6  45
59.4  13
69.8  6
77.1  18
79.5  16

Entry 2:
# Eu3Ta5O15
Simulated powder diffractogram, Cu Kα X-rays. Input: DFT lattice parameters and positions (GGA-PBE).
Peak positions follow from Bragg's law for the DFT cell and can differ from measured ones.

a b c (Å): 12.583 12.583 3.975
angles (deg): 90.00 90.00 90.00
Atoms (fractional coordinates):
Eu  0.000  0.000  0.000
Eu  0.163  0.337  0.000
Eu  0.337  0.837  0.000
Eu  0.500  0.500  0.000
Eu  0.663  0.163  0.000
Eu  0.837  0.663  0.000
Ta  0.000  0.500  0.500
Ta  0.080  0.790  0.500
Ta  0.210  0.080  0.500
Ta  0.290  0.580  0.500
Ta  0.420  0.290  0.500
Ta  0.500  0.000  0.500
Ta  0.580  0.710  0.500
Ta  0.710  0.420  0.500
Ta  0.790  0.920  0.500
Ta  0.920  0.210  0.500
O  0.000  0.500  0.000
O  0.010  0.341  0.500
O  0.063  0.135  0.500
O  0.080  0.794  0.000
O  0.135  0.937  0.500
O  0.159  0.490  0.500
O  0.206  0.080  0.000
O  0.229  0.729  0.500
O  0.271  0.229  0.500
O  0.294  0.580  0.000
O  0.341  0.990  0.500
O  0.365  0.437  0.500
O  0.420  0.294  0.000
O  0.437  0.635  0.500
O  0.490  0.841  0.500
O  0.500  0.000  0.000
O  0.510  0.159  0.500
O  0.563  0.365  0.500
O  0.580  0.706  0.000
O  0.635  0.563  0.500
O  0.659  0.010  0.500
O  0.706  0.420  0.000
O  0.729  0.771  0.500
O  0.771  0.271  0.500
O  0.794  0.920  0.000
O  0.841  0.510  0.500
O  0.865  0.063  0.500
O  0.920  0.206  0.000
O  0.937  0.865  0.500
O  0.990  0.659  0.500

Top 8 peaks for 2θ from 10° to 80°, in order of rising 2θ:
two_theta  I_rel
25.5  29
27.5  42
29.3  44
30.1  18
31.8  100
45.6  29
51.3  23
56.7  33

Entry 3:
# ErTe3
Simulated powder diffractogram, Cu Kα X-rays. Input: DFT lattice parameters and positions (GGA-PBE).
Peak positions follow from Bragg's law for the DFT cell and can differ from measured ones.

a b c (Å): 13.110 13.110 4.340
angles (deg): 90.00 90.00 160.96
Atoms (fractional coordinates):
Er  0.170  0.830  0.750
Er  0.830  0.170  0.250
Te  0.075  0.925  0.250
Te  0.293  0.707  0.750
Te  0.425  0.575  0.250
Te  0.575  0.425  0.750
Te  0.707  0.293  0.250
Te  0.925  0.075  0.750

Top 8 peaks for 2θ from 10° to 80°, in order of rising 2θ:
two_theta  I_rel
27.6  42
29.3  23
30.9  100
34.0  55
38.1  26
41.6  56
50.7  31
69.4  19

Entry 4:
# Na2TiAu
Simulated powder diffractogram, Cu Kα X-rays. Input: DFT lattice parameters and positions (GGA-PBE).
Peak positions follow from Bragg's law for the DFT cell and can differ from measured ones.

a b c (Å): 4.888 4.888 4.888
angles (deg): 60.00 60.00 60.00
____________
The article goes on =
Drop your PDF menù into the box and wait for the upload of the document, it will take a few seconds.
Using the PDF format, you will easily and personally manage your menú.
Each place is unique, it means that the QR code will be strictly related to your own activity.
We have reduced all the activity for using MenuQr in a few passages, that means few seconds for receiving your personal QR code.
The cheapest solution but effective. Download our StandQr in A4 format ready for being printed and positioned on the tables of your place.
The GO version of StandQr, ready without any modification.
Print the Personal version of StandQr, we dedicated a space on the top for letting you to personalize the StandQr with your logo.
Catone, 234-149 a.C
MenuQr is an idea that grew from the needs of whoever, every day, is working in that field. From who every day had to go on in its daily activities and at the same time, face with the big amount of costs that the Covid-19 pandemic have generated.
We want to put our effort and we want to be part of the restart, helping whom, in a normal situation, used to be a player in making us like child in enjoying life. MenuQr by payment would be a non-sense if we look at the reasons why it was born. Our wants would be of being partner in difficulties, as in normal moments, in the hard goal to restart, technologically in advance an more motivated.
Copyright © MenuQr ™ - Creato da | Andrea Ioele with